Source:
=====
Record 1
Li2MgRe: theoretical powder X-ray diffraction pattern (Cu Kα (weighted mean of Kα1 and Kα2)), based on the PBE geometry in Alexandria.

Structure:
a = 3.204 Å, b = 4.319 Å, c = 9.616 Å
α = 90.00°, β = 90.00°, γ = 90.00°
Space group Cmm2 (No. 35)
Symmetry-distinct sites (fractional):
Li  0.000  0.000  0.000
Li  0.000  0.500  0.269
Mg  0.000  0.500  0.734
Re  0.000  0.000  0.498

Principal peaks in the range 10° ≤ 2θ ≤ 90°, by angle:
2θ (°)  I_rel
18.45  88
27.83  39
34.86  37
36.13  84
37.41  29
39.73  100
41.83  22
42.92  28
45.18  51
52.06  25
60.06  17
69.04  19

Record 2
Li3Mg4Rh2: theoretical powder X-ray diffraction pattern (Cu Kα (weighted mean of Kα1 and Kα2)), based on the PBE geometry in Alexandria.

Structure:
a = 4.4989 Å, b = 4.4989 Å, c = 8.4590 Å
α = 90.00°, β = 90.00°, γ = 120.00°
Space group P-3m1 (No. 164)
Symmetry-distinct sites (fractional):
Li  0.0000  0.0000  0.0000
Li  0.3333  0.6667  0.4541
Mg  0.0000  0.0000  0.3163
Mg  0.3333  0.6667  0.1121
Rh  0.3333  0.6667  0.7832

Principal peaks in the range 10° ≤ 2θ ≤ 90°, by angle:
2θ (°)  I_rel
10.46  17
21.00  45
22.82  17
25.16  100
39.45  67
40.08  63
45.68  34
47.92  17
49.01  14
57.50  22
64.20  14
72.40  21
=====
Assignment:
Transcribe everything further above character by character.
Worked solution:
Record 1
Li2MgRe: theoretical powder X-ray diffraction pattern (Cu Kα (weighted mean of Kα1 and Kα2)), based on the PBE geometry in Alexandria.

Structure:
a = 3.204 Å, b = 4.319 Å, c = 9.616 Å
α = 90.00°, β = 90.00°, γ = 90.00°
Space group Cmm2 (No. 35)
Symmetry-distinct sites (fractional):
Li  0.000  0.000  0.000
Li  0.000  0.500  0.269
Mg  0.000  0.500  0.734
Re  0.000  0.000  0.498

Principal peaks in the range 10° ≤ 2θ ≤ 90°, by angle:
2θ (°)  I_rel
18.45  88
27.83  39
34.86  37
36.13  84
37.41  29
39.73  100
41.83  22
42.92  28
45.18  51
52.06  25
60.06  17
69.04  19

Record 2
Li3Mg4Rh2: theoretical powder X-ray diffraction pattern (Cu Kα (weighted mean of Kα1 and Kα2)), based on the PBE geometry in Alexandria.

Structure:
a = 4.4989 Å, b = 4.4989 Å, c = 8.4590 Å
α = 90.00°, β = 90.00°, γ = 120.00°
Space group P-3m1 (No. 164)
Symmetry-distinct sites (fractional):
Li  0.0000  0.0000  0.0000
Li  0.3333  0.6667  0.4541
Mg  0.0000  0.0000  0.3163
Mg  0.3333  0.6667  0.1121
Rh  0.3333  0.6667  0.7832

Principal peaks in the range 10° ≤ 2θ ≤ 90°, by angle:
2θ (°)  I_rel
10.46  17
21.00  45
22.82  17
25.16  100
39.45  67
40.08  63
45.68  34
47.92  17
49.01  14
57.50  22
64.20  14
72.40  21